Our customers made these suggestions for improving Judge.me. Suggestions for improving Judge.me.
Google Seller Ratings: Would like to see shop reviews in paid google ads
It'd be beneficial to be able to show the ratings in google adwords.
Importer for Amazon reviews
It would be great if I was able to use the app to import the reviews from my Amazon.com product pages.
Filter reviews by language
Make available to filter by review language. Since the multi-language sites are increasing on shopify, reviews will be posted by multi-language.
Postscript SMS Integration
I'd love for you to integrate with Postscript. It's an app that I use for SMS marketing. I know other colleagues who use it, as well. I think it would be a great ...
Disable review request for repeat orders
We would like to request a feature that allows store owners to disable the automated review request email for customers that have made multiple purchases. We have a ...
Better support for Point of Sale (POS) orders: automatic review requests, store location variable
Customer Email/phone numbers are added after payment of Shopify Point of Sale orders which stops Judge.me from automating a review request email. However, if ...
Integration to Shopify Email
Show product Reviews in Shopify Email, add review testimonials there and showing the rating oft the shop would be awesome.
Integration of Judge.me and Rise.ai gift card
I would like to suggest this because if I can give $X amount of store credits to my customers to encourage them to leave a review, the review rate will have a huge ...
Add Single Product Reviews to Bundle SKU's
Can we group individual products into a group in a one way fashion? For instance. We have 5 different sku's that we have listed individually as well as combined in a ...
Aftership integration for WooCommerce plugin
Have the same integration from Shopify where 'order delivery' becomes available with Aftership integration.
Using Multiple Review Carousels featuring different reviews per carousel
I was exploring the Judge.me Review Carousel feature and realised very quickly that we can only have a single review carousel. Here's how we were imagining we can use ...
Trim plugin's javascript to increase mobile performance
Your reviews app is really awesome and support is fantastic. But there’s one thing which is not so good – your script is really heavy. It’s 84 KB, which accounts for ...
‘Super reviewer’ opinions
I would love to have a special badge for 3-5 reviewers that will review all products. I run a tea business and would love to have something like that.
Judge.me for eBay
Density functional theory data (r2SCAN) for SiC after structural relaxation.

```
SiC
1.0
3.0765 0.0000 0.0000
-1.5383 2.6643 0.0000
0.0000 0.0000 67.9494
Si C
27 27
Direct
0.0000 0.0000 0.2222
0.6667 0.3333 0.9629
0.6667 0.3333 0.4074
0.3333 0.6667 0.2963
0.3333 0.6667 0.5185
0.6667 0.3333 0.6296
0.0000 0.0000 0.9259
0.0000 0.0000 0.7778
0.0000 0.0000 0.4444
0.3333 0.6667 0.7407
0.3333 0.6667 0.1481
0.0000 0.0000 0.6667
0.6667 0.3333 0.1852
0.6667 0.3333 0.4815
0.3333 0.6667 0.8889
0.6667 0.3333 0.1111
0.3333 0.6667 0.8148
0.6667 0.3333 0.2593
0.0000 0.0000 0.0000
0.6667 0.3333 0.8518
0.0000 0.0000 0.5555
0.0000 0.0000 0.0741
0.0000 0.0000 0.3333
0.6667 0.3333 0.7037
0.3333 0.6667 0.5926
0.3333 0.6667 0.3704
0.3333 0.6667 0.0370
0.0000 0.0000 0.8056
0.6667 0.3333 0.5093
0.3333 0.6667 0.9167
0.3333 0.6667 0.0649
0.6667 0.3333 0.9908
0.6667 0.3333 0.4351
0.6667 0.3333 0.1389
0.0000 0.0000 0.4723
0.3333 0.6667 0.7685
0.3333 0.6667 0.3981
0.3333 0.6667 0.6204
0.0000 0.0000 0.1019
0.0000 0.0000 0.0277
0.6667 0.3333 0.2129
0.0000 0.0000 0.9537
0.0000 0.0000 0.5834
0.0000 0.0000 0.6945
0.6667 0.3333 0.8797
0.3333 0.6667 0.1760
0.0000 0.0000 0.3612
0.6667 0.3333 0.7315
0.3333 0.6667 0.3240
0.6667 0.3333 0.6574
0.6667 0.3333 0.2870
0.0000 0.0000 0.2501
0.3333 0.6667 0.5463
0.3333 0.6667 0.8426
```

Properties
Total magnetization in μB/cell: 0.00
E above lowest polymorph in meV/atom: 0
Formation energy from the elements in eV/atom: -0.3059
E in eV per atom: -9.666



Density functional theory data (r2SCAN) for Cs2SnAs2 after structural relaxation.

```
Cs2SnAs2
1.0
6.4416 0.0000 -2.7027
-1.4094 6.9044 -3.3591
0.0333 0.0244 9.1072
Cs Sn As
4 2 4
Direct
0.1469 0.9839 0.2939
0.8531 0.0161 0.7061
0.3531 0.6900 0.7061
0.6469 0.3100 0.2939
0.2500 0.5000 0.0000
0.7500 0.5000 0.0000
0.4026 0.2282 0.8052
0.5974 0.7718 0.1948
0.0974 0.4230 0.1948
0.9026 0.5770 0.8052
```

Properties
Total magnetization in μB/cell: 0.00
Formation energy from the elements in eV/atom: -0.5742
E in eV per atom: -21.450



Density functional theory data (r2SCAN) for Cr3SbAs2 after structural relaxation.

```
Cr3SbAs2
1.0
3.7428 0.0000 0.0000
0.0000 8.8938 0.1782
0.0000 3.2832 13.3694
Cr Sb As
12 4 8
Direct
0.0000 0.0121 0.7436
0.0000 0.3293 0.0849
0.0000 0.6773 0.4066
0.0000 0.8438 0.5813
0.0000 0.1643 0.9195
0.0000 0.5091 0.2479
0.5000 0.3154 0.5869
0.5000 0.6658 0.9169
0.5000 0.9846 0.2517
0.5000 0.5114 0.7436
0.5000 0.8239 0.0930
0.5000 0.1621 0.4270
0.0000 0.8605 0.9452
0.0000 0.1918 0.2818
0.0000 0.5286 0.6027
0.0000 0.4717 0.8863
0.0000 0.8050 0.2204
0.0000 0.1381 0.5561
0.5000 0.1333 0.0585
0.5000 0.4728 0.3890
0.5000 0.8119 0.7223
0.5000 0.5241 0.1102
0.5000 0.8627 0.4443
0.5000 0.2005 0.7805
```

Properties
Total magnetization in μB/cell: 36.78
Formation energy from the elements in eV/atom: -0.2497
E in eV per atom: -16.973



Density functional theory data (r2SCAN) for Y6RhI10 after structural relaxation.

```
Y6RhI10
1.0
-5.9101 -4.8927 -0.6301
2.0046 0.2175 9.3994
Additionally I have two eBay accounts, one under the same email as my Shopify store and another under a different email address
Integrate with Google to display reviews on Google Business profile
Add functionality to feed product reviews to the reviews section of the Google Business Profile.
Allow admin to receive email notifications for negative reviews only
For example, suppose we want to receive an email notification, but only when a user leaves a 1, 2, or 3 star review? Right now, it seems this is not possible. We ...
Add Integration With Vend POS
We want Judge.me to be integrated with Vend POS cloud software so that orders placed at our retail outlet through Vend POS are automatically synced with Judge.me and ...
Collection rating widget with the # of reviews and average review score per collection
Add a collection rating that has the average review score and # of reviews for all products in that collection.
It would give you a rating out of five for all ...
TikTok integration
Would LOVE to see video reviews from TikTok, this is where most of my customer base is from and where they share their feedback.
Integrate with Ecwid
I have been using this with woocommerce with success and now have moved to Ecwid cart, Love to see you there
Add integration with Interakt for whatsapp reviews
I would like to use the interakt whatsapp platform to send review notifications to customers.
Please enable this integration feature.
Minimum Review Characters
I've got a few customers who like to leave a review of "." or "sdgsdfhdsfgfd"
Would it be possible to add a 'minimum review length' option to submissions? Or a way ...